吴 莎
(武汉理工大学 湖北 武汉 430070)
吴 莎
(武汉理工大学 湖北 武汉 430070)
广播新闻英语作为大众传媒的一种方式,可以起到传播信息,让人们获取信息的作用。此外,作为英语学习者,听广播新闻英语也是很好的学习英语的一种途径,它不仅使学习者听到地道的英语发音,英语表达,还使得学习者能够快速掌握世界最新鲜的资讯。语义学研究主要集中于词汇及其词汇关系和句子关系,其中上下义关系,是历代语义学家特别是结构语义学家(主要是研究“含蓄的”词汇-语义关系)十分重视的研究对象之一(伍谦光,1988)。上下义关系被广泛用于分析各种语篇的词汇特点(曾建彬,2009)。上下义关系实质上是一种“包含”关系,其中包括上义词和下义词,上义词是一个概括词,表达一般的概念,下义词则表达个别概念。比如fruit是一个表达一般概念的上义词,是“水果”的统称,而apple, pear, banana等则是被包含在fruit范围中的下义词,表达个别概念。广播新闻英语作为英语文体之一,其中也体现了上下义关系。本文试图从上下义关系这个视角对比分析voa中表达同一内容的标准英语新闻和特别英语新闻的词汇和句型特点,并为英语听力教学提供一些启示。
News 1(special English):Americans are buying more products and services than ever before through the Internet.Online sales now represent as much as one-tenth of all retail sales in the United States.This has led traditional stores to seek new ways to keep their customers loyal.Fifty-seven percent of Americans have bought something electronically.Store owners worry that this growing amount of online sales will hurt their business.Professor McLaughlin says traditional stores can keep their customers by selling goods like clothing, which buyers may want to see and try on before purchasing.He says the stores could also offer things that are difficult to ship.He also says some stores can please customers by offering to set up or repair electronic products.Bill Martin’s business helps stores learn about their customers.He told VOA by Skype that traditional stores offer a social experience that some people enjoy.Bill Martin says traditional stores can provide goods to buyers more-quickly than online stores.And some retailers are using websites to persuade people to visit their stores.
News 2(standard English):Lynne Shaner used the Internet to buy everything she needed for her wedding and holiday gifts for her husband and step daughter.Traditional merchants worry that growing e-commerce will shrink their share of the market.Cornell University Marketing Professor Ed McLaughlin says they have reason for concern.McLaughlin says traditional stores can keep their customers by offering goods like clothing, which customers may want to see and try on before purchasing - as well as items that are difficult to ship.He says some bricks and mortar stores are also pleasing customers with services that set up or repair computers and electronics.Traditional stores also offer a social experience that some shoppers enjoy.Traditional stores can also deliver goods more quickly than online retailers, Martin says.And smart merchants are using stores to guide customers to websites and using their websites to encourage customers to visit their stores.
以上两则新闻的主题都是讲网上购物对传统零售业的冲击,但是在特别英语和标准英语中的用词却有很多不同。比如News 1(以下简称N1)中使用的是 “store owners”(商店经营者),而News 2(以下简称N2)中却使用的是“traditional merchants”(传统商人)。显然 “store owners” 是“traditional merchants”的上义词,商店经营者包含传统的有门店的商人也包含网上虚拟商店的商人,标准英语中的用词用的更加详细。再如N1中用的“stores“,而N2中则使用的是“some brick and mortar stores”,后者是前者的下义词。N1中的“people” 在N2中表达为更加具体的“shoppers”。可以看出,在表达同一主题的两篇新闻中,标准英语多用下义词,力求准确详细的报道新闻内容和细节,而特别英语多用上义词,旨在简洁明了直观的表达新闻主要意思。
如N1中“Store ownersworry that this growing amount of online sales will hurt their business.”(商店经营者担心网上购物份额的增加将会打击他们的生意),在N2中的表达则换成了“Traditional merchants worry that growing e-commerce will shrink their share of the market.”(传统商店经营者担心电子商务的流行将会缩小他们的市场份额)。这两句话中首先就包含上下义词“store owners”和“ traditional merchants”。再从句义的角度分析,N2的表达比N1的表达更具体,而N1只是概括的表达了主题意思,“shrink”这个词用的很精确很具体。另外N1中表达“Andsomeretailersareusingwebsitestopersuadepeopletovisittheirstores.”(一些零售店使用网络说服人们进店光顾。),而N2的表达则是“Andsmartmerchantsareusingstorestoguidecustomerstowebsitesandusingtheirwebsitestoencouragecustomerstovisittheirstores.”(一些聪明的商家正在利用商店去引导消费者登陆他们的网站,同时又利用网站去鼓励消费者光顾商店。)这两句话中包含上下义词,比如“retailers”是“smartmerchants”的上义词,另外特别英语的这句话是一个概括句,而在标准英语中则是详细说明了商家是如何利用实体店和网络招揽顾客的,这两句话也是构成上下义关系。
[1] 伍谦光.语义学导论[M].长沙:湖南教育出版社,1988.
Records of molecules, as found in the file.
(1)
ORCA calculation (ωB97M-V/def2-TZVPD) on an isolated molecule of C5H10N2O2.

Geometry as XYZ:
```
19
Properties=species:S:1:pos:R:3:forces:R:3
H 0.0076 2.3405 0.3513 0.603 1.128 0.213
N -0.8393 1.9809 -0.0358 0.053 3.145 0.713
C -0.7036 0.7660 -0.0402 -0.445 -4.256 -1.455
N -1.7036 0.0858 -0.7297 -2.053 0.679 -0.907
O -2.1500 -1.1625 -0.1220 -0.553 2.360 -0.181
C 0.5519 -0.0786 0.4293 -0.205 2.405 -0.138
C 0.2904 -0.4546 1.8023 0.568 2.986 4.210
C 1.8156 0.7286 0.0011 0.126 0.035 -0.618
C 1.8369 -0.4238 -1.1715 0.765 0.886 -0.121
O 0.9054 -1.2620 -0.2746 1.302 1.205 -2.325
H -2.5083 0.7920 -1.0608 2.050 -2.521 1.453
H -1.4414 -1.6852 -0.4423 0.977 -1.533 -0.515
H 1.1354 -0.8779 2.3073 0.403 -0.797 -0.025
H -0.5763 -0.9914 1.8697 -1.925 -2.338 -0.073
H -0.0493 0.3604 2.5967 0.957 -0.637 -2.090
H 1.6322 1.7756 -0.3474 -0.005 -1.063 -0.083
H 2.6412 0.9081 0.7879 -0.992 -1.330 -1.361
H 2.9325 -0.7967 -1.5102 -2.854 0.111 1.154
H 1.2363 -0.1217 -2.1469 1.228 -0.466 2.148
```
Forces are in eV/Å.

Output
Multiplicity: 1
Kohn-Sham gap (Ha): 0.3685

(2)
ORCA calculation (ωB97M-V/def2-TZVPD) on an isolated molecule of C5H10N2O2.

Geometry as XYZ:
```
19
Properties=species:S:1:pos:R:3:forces:R:3
H 1.5205 -1.3822 1.4189 -0.072 0.110 -0.411
N 1.3539 -0.4371 1.7434 -1.343 0.237 0.686
C 0.3126 0.1395 1.2610 2.110 -0.312 0.725
O 0.0246 1.3669 1.7313 -0.483 0.274 0.190
C -0.3686 -0.2127 -0.0218 1.643 -0.301 -0.576
C -0.8468 -1.6588 -0.0449 0.107 0.083 -0.106
C -1.4632 0.7576 -0.4402 0.203 -0.041 -0.141
C 1.0092 -0.1360 -0.9380 -2.623 0.220 -0.761
N 1.3951 1.1238 -1.2518 0.133 -0.296 0.117
O 1.4875 -1.1310 -1.4197 0.450 -0.165 0.272
H 0.5904 1.5043 2.5068 0.072 -0.072 -0.107
H -1.1833 -1.9097 -1.0501 -0.080 -0.025 0.021
H -1.6631 -1.7963 0.6613 -0.103 0.014 0.014
H -0.0482 -2.3532 0.2023 0.029 0.024 0.011
H -2.3575 0.5817 0.1566 -0.035 -0.015 -0.001
H -1.1772 1.7955 -0.2920 -0.022 0.036 -0.053
H -1.7041 0.6008 -1.4905 -0.082 0.004 -0.029
H 0.9400 1.9240 -0.8552 0.103 0.077 0.012
H 2.1781 1.2225 -1.8773 -0.006 0.148 0.136
```
Forces are in eV/Å.

Output
Multiplicity: 1
Kohn-Sham gap (Ha): 0.3777

(3)
ORCA calculation (ωB97M-V/def2-TZVPD) on an isolated molecule of C5H10N2O2.

Geometry as XYZ:
```
19
Properties=species:S:1:pos:R:3:forces:R:3
C -1.0770 -1.2930 1.4635 -0.259 -0.937 -0.978
C -1.4754 -0.9222 0.2444 0.450 0.527 0.963
C -0.5614 -0.2279 -0.7381 -0.237 -0.116 -0.170
O 0.5138 0.4650 -0.1246 0.146 0.140 0.379
N -0.0072 1.4885 0.7428 -0.819 -1.324 1.227
C 0.8284 2.6610 0.6382 0.399 -0.322 -0.036
C 0.0008 -1.3462 -1.6357 0.273 0.636 0.026
N 1.2878 -1.6497 -1.3828 0.333 -0.152 0.080
O -0.6779 -1.8963 -2.4711 -0.342 -0.093 -0.147
H -0.0311 -1.3267 1.7333 0.148 0.473 0.114
H -1.7367 -1.8597 2.1034 -0.177 0.190 0.152
H -2.4952 -1.0353 -0.0783 -0.245 -0.130 -0.022
H -1.1389 0.4762 -1.3535 0.111 -0.248 0.041
H -0.0460 1.0202 1.7075 0.369 1.233 -1.773
H 0.3725 3.4470 1.2349 0.017 0.014 0.119
H 1.8682 2.4973 0.9520 -0.074 0.084 0.015
[2] 曾建彬.上下义和上下文[J].外国语文, 2009(4):21-26.
[3] 王 寅.语义理论与语言教学[M].上海:上海外语教育出版社,2001.